=====
{"formula": "Sr2MgTiO4", "functional": "PBE-GGA", "state": "relaxed", "magmom_total_mub_per_cell": 1.7, "e_tot_ev_per_atom": -6.248, "vol_a3_per_atom": 15.68, "lattice_angstrom": [[-1.9172, 1.9172, 8.5302], [1.9172, -1.9172, 8.5302], [1.9172, 1.9172, -8.5302]], "species": ["Sr", "Sr", "Mg", "Ti", "O", "O", "O", "O"], "fractional_positions": [[0.1109, 0.1109, 0.0000], [0.8891, 0.8891, 0.0000], [0.7500, 0.2500, 0.5000], [0.5000, 0.5000, 0.0000], [0.0009, 0.5009, 0.5000], [0.3078, 0.3078, 0.0000], [0.4991, 0.9991, 0.5000], [0.6922, 0.6922, 0.0000]]}


Crystalline DyGa5Co at its relaxed geometry. Source: Materials Project, functional r2SCAN.

ΔH_f (0 K) (eV per atom): -0.467
E_tot (eV per atom): -15.10
Spin magnetization (Bohr magnetons per cell): 0.000
Volume (Å³/cell): 118

Geometry as POSCAR:
```
DyGa5Co
1.0
-3.061 -2.761 -0.645
2.824 -3.054 -0.326
-0.416 -1.094 6.654
Dy Ga Co
1 5 1
Direct
0.000 0.000 0.000 Dy
0.500 0.500 0.000 Ga
0.500 0.000 0.688 Ga
0.000 0.500 0.688 Ga
0.500 0.000 0.312 Ga
0.000 0.500 0.312 Ga
0.000 0.000 0.500 Co
```


Crystalline Lu2O3 at its relaxed geometry. Source: Materials Project, functional r2SCAN.

ΔH_f (0 K) (eV per atom): -4.016
E_tot (eV per atom): -22.83
Spin magnetization (Bohr magnetons per cell): 0.000
Volume (Å³/cell): 187

Geometry as POSCAR:
```
Lu2O3
1.0
-0.576 -1.477 2.961
2.090 -5.265 -4.125
7.384 2.685 2.775
Lu O
6 9
Direct
0.365 0.729 0.513 Lu
0.691 0.383 0.137 Lu
0.968 0.935 0.186 Lu
0.635 0.271 0.487 Lu
0.032 0.065 0.814 Lu
0.309 0.617 0.863 Lu
0.793 0.585 0.377 O
=====

Now retype everything above unchanged.

{"formula": "Sr2MgTiO4", "functional": "PBE-GGA", "state": "relaxed", "magmom_total_mub_per_cell": 1.7, "e_tot_ev_per_atom": -6.248, "vol_a3_per_atom": 15.68, "lattice_angstrom": [[-1.9172, 1.9172, 8.5302], [1.9172, -1.9172, 8.5302], [1.9172, 1.9172, -8.5302]], "species": ["Sr", "Sr", "Mg", "Ti", "O", "O", "O", "O"], "fractional_positions": [[0.1109, 0.1109, 0.0000], [0.8891, 0.8891, 0.0000], [0.7500, 0.2500, 0.5000], [0.5000, 0.5000, 0.0000], [0.0009, 0.5009, 0.5000], [0.3078, 0.3078, 0.0000], [0.4991, 0.9991, 0.5000], [0.6922, 0.6922, 0.0000]]}


Crystalline DyGa5Co at its relaxed geometry. Source: Materials Project, functional r2SCAN.

ΔH_f (0 K) (eV per atom): -0.467
E_tot (eV per atom): -15.10
Spin magnetization (Bohr magnetons per cell): 0.000
Volume (Å³/cell): 118

Geometry as POSCAR:
```
DyGa5Co
1.0
-3.061 -2.761 -0.645
2.824 -3.054 -0.326
-0.416 -1.094 6.654
Dy Ga Co
1 5 1
Direct
0.000 0.000 0.000 Dy
0.500 0.500 0.000 Ga
0.500 0.000 0.688 Ga
0.000 0.500 0.688 Ga
0.500 0.000 0.312 Ga
0.000 0.500 0.312 Ga
0.000 0.000 0.500 Co
```


Crystalline Lu2O3 at its relaxed geometry. Source: Materials Project, functional r2SCAN.

ΔH_f (0 K) (eV per atom): -4.016
E_tot (eV per atom): -22.83
Spin magnetization (Bohr magnetons per cell): 0.000
Volume (Å³/cell): 187

Geometry as POSCAR:
```
Lu2O3
1.0
-0.576 -1.477 2.961
2.090 -5.265 -4.125
7.384 2.685 2.775
Lu O
6 9
Direct
0.365 0.729 0.513 Lu
0.691 0.383 0.137 Lu
0.968 0.935 0.186 Lu
0.635 0.271 0.487 Lu
0.032 0.065 0.814 Lu
0.309 0.617 0.863 Lu
0.793 0.585 0.377 O